# Brief
Say how many lines of the listing below hold the word "Charge", as a bare number, please.

# Listing
+++
1.
DFT (wB97M-V/def2-TZVPD) results for a 9-piece molecular cluster, C56H55F8NO2P overall.

Results
**Kohn-Sham gap**: 0.21739 hartree
**Highest occupied orbital energy**: -4.2 eV
**Charge**: -1
**E_tot**: -3512.19765 Eh
**Max |F|**: 7.6 eV/Å

Positions of all 123 atoms, in Å:
C  -5.16  0.82  -8.57
C  -4.11  0.37  -7.90
P  -2.69  -0.20  -6.71
C  -2.36  -1.81  -7.68
C  -1.00  -2.58  -7.31
O  -1.40  0.69  -7.52
C  -0.56  1.25  -6.44
C  -1.06  0.72  -4.99
C  0.08  0.35  -3.87
C  -0.74  -0.47  -2.72
N  -1.57  0.15  -1.87
O  -1.72  -0.55  -5.31
H  -6.27  1.04  -8.84
H  -3.73  -0.97  -6.03
H  -3.00  1.02  -6.02
H  -3.22  -2.59  -7.59
H  -2.28  -1.51  -8.81
H  -0.82  -3.36  -8.17
H  -1.11  -3.18  -6.32
H  -0.06  -1.91  -7.30
H  0.56  1.39  -6.64
H  -0.96  2.35  -6.43
H  -1.68  1.49  -4.37
H  0.41  1.38  -3.43
H  0.95  -0.26  -4.31
H  -0.67  -1.62  -2.59
H  -2.00  -0.56  -1.23
F  -0.57  -4.25  -11.33
C  0.30  -5.22  -11.03
C  -0.04  -6.54  -11.31
C  0.86  -7.55  -11.00
C  2.08  -7.24  -10.40
C  2.40  -5.92  -10.12
C  1.51  -4.90  -10.44
H  -0.99  -6.76  -11.77
H  0.62  -8.59  -11.23
H  2.78  -8.04  -10.16
H  3.35  -5.68  -9.65
H  1.75  -3.86  -10.23
F  -2.21  -0.99  0.88
C  -1.72  -0.24  1.88
C  -0.41  0.19  1.82
C  0.10  0.97  2.86
C  -0.71  1.30  3.94
C  -2.03  0.85  3.99
C  -2.54  0.08  2.95
H  0.21  -0.08  0.97
H  1.13  1.32  2.82
H  -0.31  1.90  4.75
H  -2.66  1.10  4.84
H  -3.56  -0.27  2.97
F  -4.91  -0.77  4.41
C  -4.84  -1.69  5.39
C  -3.77  -2.58  5.41
C  -3.70  -3.53  6.43
C  -4.69  -3.59  7.40
C  -5.76  -2.69  7.36
C  -5.83  -1.74  6.35
H  -3.01  -2.52  4.64
H  -2.86  -4.22  6.46
H  -4.64  -4.33  8.19
H  -6.54  -2.74  8.12
H  -6.65  -1.03  6.31
F  -3.29  3.12  7.10
C  -3.15  4.11  6.20
C  -4.23  4.50  5.43
C  -4.09  5.53  4.51
C  -2.85  6.16  4.36
C  -1.77  5.77  5.15
C  -1.92  4.74  6.08
H  -5.18  3.99  5.54
H  -4.93  5.84  3.90
H  -2.74  6.96  3.64
H  -0.81  6.26  5.03
H  -1.09  4.43  6.70
F  3.25  2.58  4.47
C  3.73  3.43  3.54
C  4.83  3.06  2.79
C  5.32  3.94  1.83
C  4.71  5.17  1.63
C  3.60  5.53  2.40
C  3.10  4.65  3.35
H  5.30  2.11  2.96
H  6.18  3.66  1.23
H  5.10  5.86  0.88
H  3.13  6.50  2.25
H  2.24  4.91  3.95
F  5.87  -4.17  -8.13
C  5.06  -3.66  -7.19
C  4.75  -2.31  -7.21
C  3.91  -1.79  -6.23
C  3.38  -2.62  -5.25
C  3.70  -3.98  -5.24
C  4.54  -4.50  -6.22
H  5.18  -1.67  -7.98
H  3.65  -0.73  -6.24
H  2.73  -2.21  -4.49
H  3.30  -4.62  -4.47
H  4.79  -5.55  -6.23
F  5.59  0.78  1.46
C  5.76  -0.53  1.68
C  4.75  -1.42  1.33
C  4.93  -2.78  1.55
C  6.12  -3.24  2.12
C  7.13  -2.34  2.47
C  6.95  -0.98  2.24
H  3.84  -1.04  0.90
H  4.15  -3.48  1.28
H  6.26  -4.30  2.30
H  8.05  -2.70  2.92
H  7.73  -0.27  2.49
F  -1.27  6.41  9.71
C  -1.99  5.53  10.42
C  -2.36  4.33  9.84
C  -3.10  3.41  10.58
C  -3.47  3.71  11.89
C  -3.10  4.93  12.46
C  -2.35  5.84  11.73
H  -2.06  4.11  8.82
H  -3.38  2.46  10.14
H  -4.05  3.00  12.47
H  -3.39  5.16  13.48
H  -2.04  6.78  12.16

***

2.
DFT (wB97M-V/def2-TZVPD) results for a 2-piece molecular cluster, C3H8N2PS overall.

Results
**Kohn-Sham gap**: 0.34197 hartree
**Highest occupied orbital energy**: -13.7 eV
**Charge**: +1
**E_tot**: -967.83063 Eh
**Max |F|**: 3.5 eV/Å
**Relative energy (zero: lowest compared OMol25 entry of this formula, charge and spin)**: 9.56 kcal/mol

Positions of all 15 atoms, in Å:
C  1.52  -0.85  -0.16
C  2.20  0.51  -0.02
C  -0.10  0.22  1.21
N  -1.99  0.52  -0.03
N  0.37  -0.94  0.77
P  -2.48  1.99  -0.04
S  0.83  1.56  0.74
H  1.27  -1.11  -1.19
H  2.28  -1.70  0.05
H  2.95  0.35  0.80
H  2.47  0.89  -0.97
H  -0.80  0.11  2.12
H  -2.38  -0.25  -0.74
H  -0.24  -1.70  0.79
H  -3.55  1.76  -1.03

=====

Run one
This record from the OMol25 dataset describes a structure of composition CH2NO2S. The level of theory is ωB97M-V/def2-TZVPD.

Calculated values
Lowest unoccupied orbital energy = 4.1 eV
Net charge = -1

CARTESIAN COORDINATES (ANGSTROEM)
S 0.119 1.367 0.627
O -2.197 -0.092 -0.480
O -0.829 -1.367 0.845
N 1.499 0.601 -0.335
+++

# Completed
2